Feign Innocence

Chapter 14

Chris looked furious, his eyes were bloodshot as he looked at the two women in the room. Precisely, he was staring at the one in wedding dress; Sherry.

“Oh, you are back?” Sherry asked in a relaxed voice. Although she was scared when the door opened with such a loud sound, she had already picked up herself back.

SO when she saw that it was him, she actually felt more relaxed than she had thought she would. She was not sacred of this stupid guy.

“You…” Chris gritted his teeth as he walked towards her without speaking anything. His silence was the sign for something violent and Sherry knew it.

“Mister Chris.” The old house maid stood in front of Sherry like a hen protecting her chicken. By looking at the face of Chris , she knew he was trying to do something bad to Sherry.

“Step away.” Chris had his face darkened with anger. He did not even give a damn care that she was on old lady and mercilessly pushed her away.

“Chris, don’t hurt her.” Sherry was angered by his action and stood up from her seat as she tried to hold the old maid in her arms.

“Right, You are the one who deserves the pain.” Chris smiled, his smile growing sinister with each second.

## Materials data, as found in the file
____________
(1)
The following is a theoretical powder diffraction line list of Li4SiO4. It was derived from a PBE-relaxed structure, using Cu Kα (λ = 1.5418 Å).
Peak positions follow from Bragg's law for the DFT cell and can differ from measured ones.

Structural model:
Unit cell a=5.2324 b=5.3890 c=6.1431 alpha=88.55 beta=89.86 gamma=89.66
Element x y z (fractional)
Li 0.0000 0.0000 0.0000
Li 0.0139 0.5430 0.2292
Li 0.2454 0.3427 0.5156
Li 0.2668 0.8709 0.6637
Li 0.3757 0.1467 0.2113
Li 0.5703 0.1907 0.7931
Li 0.5897 0.6392 0.4679
Li 0.9834 0.5201 0.7746
Si 0.5055 0.6640 0.9920
Si 0.8537 0.0311 0.4852
O 0.3802 0.9455 0.9645
O 0.3994 0.5168 0.2136
O 0.4115 0.5252 0.7611
O 0.5356 0.0366 0.4874
O 0.8175 0.6804 0.0001
O 0.9494 0.7360 0.5036
O 0.9499 0.1727 0.7077
O 0.9930 0.1770 0.2809

Largest 12 diffraction maxima, most intense first, 10° ≤ 2θ ≤ 90°:
2theta	d_spacing	I_rel
22.3	3.993	100
33.2	2.695	87
34.3	2.616	70
21.7	4.101	67
23.8	3.742	58
28.1	3.181	49
22.3	3.978	40
34.0	2.639	30
48.7	1.871	26
33.9	2.648	25
27.6	3.237	24
16.5	5.387	24



(2)
The following is a theoretical powder diffraction line list of LiSi6O12. It was derived from a PBE-relaxed structure, using Cu Kα (λ = 1.5418 Å).
Peak positions follow from Bragg's law for the DFT cell and can differ from measured ones.

Structural model:
Unit cell a=5.1933 b=7.5198 c=7.5357 alpha=93.61 beta=109.30 gamma=109.39
Element x y z (fractional)
Li 0.0000 0.0000 0.0000
Si 0.0281 0.4066 0.1216
Si 0.4116 0.6911 0.7444
Si 0.5080 0.8201 0.1679
Si 0.5304 0.2325 0.2804
Si 0.9170 0.8679 0.5917
Si 0.9403 0.2815 0.7053
O 0.0106 0.0814 0.7255
O 0.2042 0.8084 0.6452
O 0.2194 0.2702 0.2016
O 0.2299 0.4605 0.7129
O 0.2382 0.6329 0.1694
O 0.4014 0.0060 0.1623
O 0.6024 0.7956 0.9785
O 0.6533 0.2449 0.5111
O 0.6629 0.7160 0.6509
O 0.7814 0.3798 0.2175
O 0.8016 0.8735 0.3625
O 0.8556 0.3240 0.8905

Largest 12 diffraction maxima, most intense first, 10° ≤ 2θ ≤ 90°:
2theta	d_spacing	I_rel
25.6	3.485	100
25.5	3.499	94
18.9	4.693	73
25.8	3.459	65
27.7	3.218	18
19.7	4.509	17
48.3	1.886	15
48.0	1.895	11
30.8	2.900	11
47.9	1.900	9
36.2	2.479	8
38.5	2.339	7



(3)
The following is a theoretical powder diffraction line list of Li2Si4O7. It was derived from a PBE-relaxed structure, using Cu Kα (λ = 1.5418 Å).
Peak positions follow from Bragg's law for the DFT cell and can differ from measured ones.

Structural model:
Unit cell a=9.6231 b=9.6231 c=9.6231 alpha=116.10 beta=116.10 gamma=96.90
Element x y z (fractional)
Li 0.0978 0.4097 0.0075
Li 0.1597 0.6522 0.8119
Li 0.3403 0.1522 0.4925
Li 0.4022 0.0903 0.9925
Li 0.5978 0.5903 0.6881
Li 0.6597 0.8478 0.5075
Li 0.8403 0.3478 0.1881
Li 0.9022 0.9097 0.3119
Si 0.0524 0.1090 0.1809
Si 0.1215 0.6781 0.3191
Si 0.1779 0.4573 0.4871
Si 0.2073 0.2202 0.7794
Si 0.3590 0.8024 0.6809
Si 0.4281 0.6090 0.0566
Si 0.4408 0.4279 0.2206
Si 0.4702 0.9573 0.2794
Si 0.5524 0.3715 0.9434
Si 0.6215 0.3024 0.4434
Si 0.6779 0.1908 0.7206
Si 0.7073 0.9279 0.9871
Si 0.8590 0.1781 0.5566
Si 0.9281 0.8715 0.8191
____________

With a raise of his hand, he grabbed Sherry’s shoulder and forced her to look at him. Since he was slightly taller than her, he had to raise her head to meet his eye level.

Sherry bit her lip to prevent sound of her groan in pain from coming out when he pulled her chin. She did not want to show this hateful man any more of her weakness than she already had.

“What do you want?” Sherry matched his eye level and asked with out any fear in her eyes. She did not fear this lying and cheating piece of shit.

Moreover, the fact that he was even acting this way towards her instead of asking her what went wrong was more than enough for Sherry to completely discard her feelings for this big monkey.

Monkey! Sherry imagined his face in place of monkey and could not help but let out a small chuckle.

“Pfft..” Although the place where he was holding hurt, Sherry laughed staring back at him.

“So you are pretending to be strong and even laughing at me huh?” Chris was even angry when he saw her laughing. It felt to him that he was being mocked by her.

Sherry had always been docile and obedient to him so he had never thought a day will come when Sherry will show him this insolence.

“I have always been strong.” Sherry replied her ace still snickering at him. “I just have been blind and idiot for falling for a guy like you.”

“You…” Chris pulled her chin even more. If he exerted even more pressure, her jaw might even get dislocated.

“Mr. Chris, please behave yourself.” The old maid was frightened when she saw Chris acting violently towards Sherry.

She did not care about the marriage or whatever they had before their marriage. If someone was trying to hurt the young miss, she was willing to stand up against them.

Sherry saw the frightened expression on the old maid’s face. The old maid was a heart patient. She already had experience more surprises than necessary for today. If this continued, Sherry knew it was going to be bad for her heart.

Sherry raised her hand and grabbed the hand which was grabbing her chin.

“Let go of me.” Sherry used all her strength she could muster and threw off his dirty paw from her face. He was a strong man with big muscles so when she tried to pull him off, she had to use much more strength than she had expected.

Chris was furious and was almost panting like an old man in his seventies after climbing a 100 steps in a staircase.

“You are courting death!!” Chris roared at her.

“We can talk like proper adults, Mr. Chris.” Sherry maintained her dress and looked at Chris who was even more infuriated by her words.

First it was cancelling the wedding out of nowhere, then now this!! Sherry was really trying his patience today.

“Sherry, you are crossing your boundary. I am still your fiancé.” Chris roared at her . He could not let Sherry go after all. Despite not liking Sherry, she was the foundation of all his plans.

“Heh…Fiancé?” Sherry scoffed, the disdain she was showing was clear in her eyes. How could one be this shameless.

“You know what you did right?” Sherry was not going to play innocent anymore. She was tired and wanted to make things clear once and for all.

“What did I do now?” Chris barked at her again as if he was being falsely accused here by Sherry. Seeing him playing the victim made Sherry want to puke out her guts.

“You know it better than me.” Sherry averted her gaze and looked out of the window crossing her arms in front of her.

You screwed my best friend behind my back! Is that what I am supposed to tell to you? Sherry was filled with heart crunching disgust.

“Wait, is it about Bella?” Chris was silent for a while before asking her with a doubting face. “Is it?” He repeated the question once again.

Two days ago when there was a short party at the house, Chris had helped Bella to sit in the couch in the presence of Sherry. Although that time she had said nothing, Chris figured Sherry was acting petty because of that incident.

"....", Sherry just looked at him with blank expression.

Sherry did not reply but the small change in her face was noticed by Chris.

"I was just helping her as she is your best friend." Chris totally lied without even flinching his eyes.

********
Structure and simulated PXRD pattern of Na3Ti2CrS6 (a GGA-PBE-relaxed structure; Cu Ka).
No peak broadening, texture or thermal motion is included.

Atomic structure:
Cell: 6.2433 6.2433 6.9066 Å, 98.63 98.63 120.01°
Element x y z (fractional)
1 Na 0.0000 0.0000 0.0000
2 Na 0.3304 0.6696 0.0000
3 Na 0.6696 0.3304 0.0000
4 Ti 0.1608 0.8392 0.5000
5 Ti 0.8392 0.1608 0.5000
6 Cr 0.5000 0.5000 0.5000
7 S 0.1048 0.4325 0.2955
8 S 0.2450 0.2450 0.7108
9 S 0.4325 0.1048 0.2955
10 S 0.5675 0.8952 0.7045
11 S 0.7550 0.7550 0.2892
12 S 0.8952 0.5675 0.7045

Peak list (8 most intense, 2θ = 5–70°, sorted by position)
d (Å)  2theta  intensity
6.588  13.44  37.7
2.639  33.97  100.0
2.094  43.21  10.5
1.937  46.90  30.4
1.802  50.65  30.2
1.738  52.65  4.8
1.557  59.35  6.2
1.488  62.40  14.2
********

“Even today just took your friend to hospital because it was an emergency.” Chris rubbed his fore head feeling his pulse increasing every second. This day had gone from being bad to worse and worse to worst.

“Are you acting like this because of that?” Chris felt it was because of that Sherry was acting like a jealous woman.

“…..”, Sherry did not even want to argue with this childish man who was changing facts one after the other.

“She is your friend Sherry, I am just helping her because her husband is not here!” Chris spoke as if it was the truth and Sherry was acting unreasonable.

“Chris…Just..How great do you think you are hmm?” Sherry looked at him stupefied at his arrogance. “You know what? Just forget it” she did not want to continue this anymore.

He made it look like Sherry was the bad guy who was uncaring of her friend and even a vinegar woman who broke off wedding just because of that.

“Leave my sight before I get angry.” Sherry placed her palm on her chest and gave him a push.

“ Don’t forget you are in my property and you are an outsider who is trespassing the boundary of Lona family.” Sherry turned back, completely cutting him off from her sight.

“Sherry..” Chris caught her by her hand trying to prevent her from leaving. With Bella admitted in the hospital and her life in danger due to her pregnancy and Sherry spoiling all his plans for him, Chris was already on verge of losing his sanity.

Sherry was the last thread that he could never let go.

“Sherry..” There was dominance but a different type of pleading tone in his voice as he called her name. He hoped he could melt her heart once more with his soft attitude.

Sherry stopped for a while, hesitating to walk from there.

IS it working? Chris wondered when Sherry turned back but his hope soon shattered when Sherry spoke to him in cold voce.

“Chris, I will call the police if you keep this up.” Sherry shot him a piercing angry look.